~~~
[1]
A plane-wave DFT calculation with SCAN was carried out for a PBEsol-optimized structure of Ti2SiN.

Calculated values
The uncorrected formation energy comes out at -0.785 eV/atom. The calculation puts the density of states at the Fermi level at 0.53 states/eV per atom. The size of the total moment is 0.00 μB/f.u.

Cell: 5.9540 5.9540 6.1853 Å, 90.00 90.00 90.00°
With the nearest neighbours (Å) after each atom.
Space group I-42d (No. 122)
Inequivalent atoms, fractional coordinates:
Ti 0.1667 0.2500 0.1250 x8  2 N 1.95
Si 0.0000 0.0000 0.5000 x4  4 Ti 2.60
N 0.0000 0.0000 0.0000 x4  4 Ti 1.95

[2]
A plane-wave DFT calculation with SCAN was carried out for a PBEsol-optimized structure of TlInTc.

Calculated values
The calculation puts the density of states at the Fermi level at 0.91 states/eV per atom. The value obtained for the formation energy from the elements is 1.0953 eV/atom. The size of the total moment is 2.83 μB/f.u.

Cell: 6.4179 6.4179 6.4179 Å, 90.00 90.00 90.00°
With the nearest neighbours (Å) after each atom.
Space group F-43m (No. 216)
Inequivalent atoms, fractional coordinates:
Tl 0.0000 0.0000 0.0000 x4  4 In 2.78, 4 Tc 2.78
In 0.2500 0.2500 0.2500 x4  4 Tl 2.78
Tc 0.2500 0.2500 0.7500 x4  4 Tl 2.78

=====

Entry 1:
{"formula": "TlTe2Se2", "functional": "PBE-GGA", "state": "relaxed", "lattice": [[5.668, 0.000, 0.000], [0.000, 5.668, 0.000], [0.000, 0.000, 11.097]], "species": ["Tl", "Tl", "Te", "Te", "Te", "Te", "Se", "Se", "Se", "Se"], "frac_coords": [[0.000, 0.000, 0.000], [0.500, 0.500, 0.500], [0.000, 0.000, 0.306], [0.000, 0.000, 0.694], [0.500, 0.500, 0.194], [0.500, 0.500, 0.806], [0.000, 0.500, 0.250], [0.000, 0.500, 0.750], [0.500, 0.000, 0.250], [0.500, 0.000, 0.750]], "final_energy_ev_per_atom": -3.135, "density_g_cm3": 5.75, "formation_energy_uncorrected_ev_per_atom": -0.01, "dos_at_fermi_per_ev_cell": 7.18, "vol_a3_per_atom": 35.7, "de_polymorph_kj_per_mol_fu": 0}

Entry 2:
{"formula": "TlTe2Se", "functional": "PBE-GGA", "state": "relaxed", "lattice": [[3.072, 0.000, 0.000], [0.000, 3.072, 0.000], [0.000, 0.000, 14.192]], "species": ["Tl", "Te", "Te", "Se"], "frac_coords": [[0.000, 0.000, 0.000], [0.000, 0.000, 0.465], [0.500, 0.500, 0.765], [0.500, 0.500, 0.171]], "final_energy_ev_per_atom": -2.933, "density_g_cm3": 6.68, "formation_energy_uncorrected_ev_per_atom": 0.10, "dos_at_fermi_per_ev_cell": 1.73, "vol_a3_per_atom": 33.5}

=====

Record 1
CoTc3: optimized geometry, GGA-PBEsol.

Computed properties:
excess energy over the best structure of this formula in the dataset	0.000	kcal/mol of atoms
energy relative to the elements	-0.035	eV/atom
M_tot	0.00	μB per formula unit

Cell lengths 5.2956, 5.2956, 8.5024 Å; angles 90.00, 90.00, 120.00 degrees
Space group P6_3/mmc (No. 194)
One atom of each set of equivalent atoms:
Co (0.0000, 0.0000, 0.0000)
Co (0.3333, 0.6667, 0.2500)
Tc (0.0000, 0.5000, 0.0000)
Tc (0.1650, 0.3300, 0.7500)



Record 2
Co3Tc: optimized geometry, GGA-PBEsol.

Computed properties:
energy relative to the elements	-0.023	eV/atom
M_tot	1.39	μB per formula unit

Cell lengths 4.0011, 4.9848, 4.3463 Å; angles 90.00, 90.00, 90.00 degrees
Space group Pmmn (No. 59, origin choice 2)
One atom of each set of equivalent atoms:
Co (0.2500, 0.0018, 0.1640)
Co (0.2500, 0.7500, 0.6725)
Tc (0.2500, 0.2500, 0.6630)



Record 3
CoTc3: optimized geometry, GGA-PBEsol.

Computed properties:
excess energy over the best structure of this formula in the dataset	0.736	kcal/mol of atoms
energy relative to the elements	-0.003	eV/atom
M_tot	0.00	μB per formula unit

Cell lengths 2.6626, 4.2191, 4.6222 Å; angles 90.00, 90.00, 90.00 degrees
Space group Pmm2 (No. 25)
One atom of each set of equivalent atoms:
Co (0.0000, 0.0000, 0.0000)
Tc (0.0000, 0.5000, 0.3323)
Tc (0.5000, 0.0000, 0.5113)
Tc (0.5000, 0.5000, 0.8459)



Record 4
Co24Tc5: optimized geometry, GGA-PBEsol.

Computed properties:
energy relative to the elements	0.059	eV/atom
M_tot	34.03	μB per formula unit
~~~

Return the contents above from the first line to the one with "2.6626, 4.2191," exactly, please.

[1]
A plane-wave DFT calculation with SCAN was carried out for a PBEsol-optimized structure of Ti2SiN.

Calculated values
The uncorrected formation energy comes out at -0.785 eV/atom. The calculation puts the density of states at the Fermi level at 0.53 states/eV per atom. The size of the total moment is 0.00 μB/f.u.

Cell: 5.9540 5.9540 6.1853 Å, 90.00 90.00 90.00°
With the nearest neighbours (Å) after each atom.
Space group I-42d (No. 122)
Inequivalent atoms, fractional coordinates:
Ti 0.1667 0.2500 0.1250 x8  2 N 1.95
Si 0.0000 0.0000 0.5000 x4  4 Ti 2.60
N 0.0000 0.0000 0.0000 x4  4 Ti 1.95

[2]
A plane-wave DFT calculation with SCAN was carried out for a PBEsol-optimized structure of TlInTc.

Calculated values
The calculation puts the density of states at the Fermi level at 0.91 states/eV per atom. The value obtained for the formation energy from the elements is 1.0953 eV/atom. The size of the total moment is 2.83 μB/f.u.

Cell: 6.4179 6.4179 6.4179 Å, 90.00 90.00 90.00°
With the nearest neighbours (Å) after each atom.
Space group F-43m (No. 216)
Inequivalent atoms, fractional coordinates:
Tl 0.0000 0.0000 0.0000 x4  4 In 2.78, 4 Tc 2.78
In 0.2500 0.2500 0.2500 x4  4 Tl 2.78
Tc 0.2500 0.2500 0.7500 x4  4 Tl 2.78

=====

Entry 1:
{"formula": "TlTe2Se2", "functional": "PBE-GGA", "state": "relaxed", "lattice": [[5.668, 0.000, 0.000], [0.000, 5.668, 0.000], [0.000, 0.000, 11.097]], "species": ["Tl", "Tl", "Te", "Te", "Te", "Te", "Se", "Se", "Se", "Se"], "frac_coords": [[0.000, 0.000, 0.000], [0.500, 0.500, 0.500], [0.000, 0.000, 0.306], [0.000, 0.000, 0.694], [0.500, 0.500, 0.194], [0.500, 0.500, 0.806], [0.000, 0.500, 0.250], [0.000, 0.500, 0.750], [0.500, 0.000, 0.250], [0.500, 0.000, 0.750]], "final_energy_ev_per_atom": -3.135, "density_g_cm3": 5.75, "formation_energy_uncorrected_ev_per_atom": -0.01, "dos_at_fermi_per_ev_cell": 7.18, "vol_a3_per_atom": 35.7, "de_polymorph_kj_per_mol_fu": 0}

Entry 2:
{"formula": "TlTe2Se", "functional": "PBE-GGA", "state": "relaxed", "lattice": [[3.072, 0.000, 0.000], [0.000, 3.072, 0.000], [0.000, 0.000, 14.192]], "species": ["Tl", "Te", "Te", "Se"], "frac_coords": [[0.000, 0.000, 0.000], [0.000, 0.000, 0.465], [0.500, 0.500, 0.765], [0.500, 0.500, 0.171]], "final_energy_ev_per_atom": -2.933, "density_g_cm3": 6.68, "formation_energy_uncorrected_ev_per_atom": 0.10, "dos_at_fermi_per_ev_cell": 1.73, "vol_a3_per_atom": 33.5}

=====

Record 1
CoTc3: optimized geometry, GGA-PBEsol.

Computed properties:
excess energy over the best structure of this formula in the dataset	0.000	kcal/mol of atoms
energy relative to the elements	-0.035	eV/atom
M_tot	0.00	μB per formula unit

Cell lengths 5.2956, 5.2956, 8.5024 Å; angles 90.00, 90.00, 120.00 degrees
Space group P6_3/mmc (No. 194)
One atom of each set of equivalent atoms:
Co (0.0000, 0.0000, 0.0000)
Co (0.3333, 0.6667, 0.2500)
Tc (0.0000, 0.5000, 0.0000)
Tc (0.1650, 0.3300, 0.7500)



Record 2
Co3Tc: optimized geometry, GGA-PBEsol.

Computed properties:
energy relative to the elements	-0.023	eV/atom
M_tot	1.39	μB per formula unit

Cell lengths 4.0011, 4.9848, 4.3463 Å; angles 90.00, 90.00, 90.00 degrees
Space group Pmmn (No. 59, origin choice 2)
One atom of each set of equivalent atoms:
Co (0.2500, 0.0018, 0.1640)
Co (0.2500, 0.7500, 0.6725)
Tc (0.2500, 0.2500, 0.6630)



Record 3
CoTc3: optimized geometry, GGA-PBEsol.

Computed properties:
excess energy over the best structure of this formula in the dataset	0.736	kcal/mol of atoms
energy relative to the elements	-0.003	eV/atom
M_tot	0.00	μB per formula unit

Cell lengths 2.6626, 4.2191, 4.6222 Å; angles 90.00, 90.00, 90.00 degrees